What’s the Next Step for Your Online Business?

In the past year, people have found new ways to generate income since many have already lost their jobs. A lot of online businesses started and thrived in the pandemic.

One thing that is for certain is that these businesses may very well continue to thrive even after COVID-19. The virus still hasn’t shown any signs of slowing, so another year of closed stores is ahead of us. As an online business owner, you can use this time to expand and grow your business.

Create a website

If you have been relying on word of mouth and social media this entire time, then it’s time to take it a step further and build your own website. This allows you to become more accessible and establishes you as a credible business. In fact, 8 percent of customers would think you are more reliable if you have a website. You also have more control because you can put any new product you have without going through different approval processes. Customers can also easily get a hold of your contact information for orders and inquiries.

When creating a website, you can choose to make it by yourself using free hosting platforms or hire someone to do it. Each of them has its own pros and cons. A free platform will save you money, and it is easier to figure out if you have no knowledge of coding. There are also ready-made templates, so all you need to do is change the colors and images. However, it can sometimes look generic, and certain features are locked behind a paywall.

Hiring someone to make you a website is great if you want customization. Web design and development agencies will ask you what you want in your website, and they can tailor the look to match your preferences. Their job also includes making your website more responsive, meaning that it can adjust its appearance to different devices.

Start doing paid ads

online business

Previously, you may be relying on organic ads to grow your popularity. While this is also a good strategy, it can lose its effect at some point. That’s why, when you can afford to, start accompanying it with paid ads. With these, you don’t just blindly post pictures or content and hope someone takes notice.

According to data by HubSpot, Facebook users only see two percent of organic pages, which means a vast majority of them do not even reach people’s newsfeed. Paid ads have a higher success rate, and social media websites make an active effort to promote them. What’s even better is that you can set who sees your ads. It has options that allow you to identify and categorize your target audience, so your ads are reaching people who will actually buy your product.

What comes next are records of crystals, not part of the piece.
/*
Crystalline Ti3O2 at its relaxed geometry, computed with PBE-GGA.

The total energy comes out at -8.794 eV per atom. The energy with MP2020 corrections comes out at -90.691 eV for the cell shown.

Lattice parameters (Å, degrees): 5.791 5.791 5.791 52.56 52.56 52.56
Fractional coordinates of all 10 atoms:
O (0.162, 0.162, 0.162)
O (0.338, 0.338, 0.338)
O (0.838, 0.838, 0.838)
O (0.662, 0.662, 0.662)
Ti (0.580, 0.920, 0.250)
Ti (0.420, 0.080, 0.750)
Ti (0.750, 0.420, 0.080)
Ti (0.250, 0.580, 0.920)
Ti (0.080, 0.750, 0.420)
Ti (0.920, 0.250, 0.580)

---

Crystalline ErAlNi at its relaxed geometry, computed with PBE-GGA.

The total energy comes out at -5.318 eV per atom.

Lattice parameters (Å, degrees): 6.974 6.974 3.804 90.00 90.00 120.00
Fractional coordinates of all 9 atoms:
Er (0.000, 0.417, 0.500)
Er (0.583, 0.583, 0.500)
Er (0.417, 0.000, 0.500)
Al (0.000, 0.762, 0.000)
Al (0.238, 0.238, 0.000)
Al (0.762, 0.000, 0.000)
Ni (0.000, 0.000, 0.500)
Ni (0.333, 0.667, 0.000)
Ni (0.667, 0.333, 0.000)

---

Crystalline SnF4 at its relaxed geometry, computed with PBE-GGA.

The total energy comes out at -4.671 eV per atom. The energy with MP2020 corrections comes out at -25.203 eV for the cell shown.

Lattice parameters (Å, degrees): 5.114 5.114 5.114 132.02 132.02 70.20
Fractional coordinates of all 5 atoms:
F (0.500, 0.000, 0.500)
F (0.772, 0.772, 0.000)
F (0.228, 0.228, 0.000)
F (0.000, 0.500, 0.500)
Sn (0.000, 0.000, 0.000)

---

no.,energy of formation from the pure elements (eV per formula unit)
1,-11.76
2,-1.86
3,-13.54

=====

Record 1
An optimized crystal structure of MgSc3, computed with PBE.

Lattice parameters (Å, degrees): 3.2616 3.2616 10.6232 90.00 90.00 120.00
Closest atoms and distances in Å follow each position.
Space group P-6m2 (No. 187)
Asymmetric unit:
Mg 0.0000 0.0000 0.0000  6 Mg 3.26, 6 Sc 3.32
Sc 0.0000 0.0000 0.5000  12 Sc 3.19-3.26
Sc 0.3333 0.6667 0.2574  9 Sc 3.19-3.26, 3 Mg 3.32

Its formation enthalpy at 0 K is 2.4 kJ/mol of atoms. The value obtained for the raw total energy is -5.125 eV per atom. The value obtained for the mass density is 2.7 g/cm³. The excess energy over the best structure of this formula in the dataset is 4.0 meV/atom.

---

Record 2
An optimized crystal structure of Mg2Sc, computed with PBE.

Lattice parameters (Å, degrees): 12.0756 3.2070 7.4976 90.00 104.94 90.00
Closest atoms and distances in Å follow each position.
Space group C2/m (No. 12)
Asymmetric unit:
Mg 0.1413 0.0000 0.0303  8 Mg 3.14-3.32, 4 Sc 3.20-3.21
Mg 0.1962 0.0000 0.6425  7 Mg 3.14-3.21, 5 Sc 3.22-3.29
Sc 0.0243 0.5000 0.3041  3 Sc 3.14-3.21, 9 Mg 3.20-3.29

Its formation enthalpy at 0 K is -0.9 kJ/mol of atoms. The value obtained for the raw total energy is -3.187 eV per atom. The value obtained for the mass density is 2.2 g/cm³.

---

Record 3
An optimized crystal structure of Mg5Sc, computed with PBE.

Lattice parameters (Å, degrees): 5.5021 5.5021 15.9731 90.00 90.00 120.00
Closest atoms and distances in Å follow each position.
*/

If you want to expand your online business, this is another way to do so. While it generally targets those in your immediate area, you can adjust it to allow for those in other cities to see your ads. Just make sure that your ad or caption states that it can serve those areas.

Use better digital tools

You might have already noticed, but managing an online business by yourself gets harder the more sales you get. There will be an abundance of orders and unless you hire someone, it will be difficult to manage. That means it is time to familiarize yourself with the latest digital tools.

Nowadays, there are tools for almost everything. You can find tools that help you manage emails, so taking orders will become a lot easier. If you are busy making your products, then check out the tools that are used for social media marketing. It allows you to schedule posts in advance, so you never have to miss a day of engagement and promotion. There is also software that helps manage invoices and orders.

These tools are great for any business because it automates simple tasks, so you can focus on products and other essential parts of your business. A lot of them are free, but you can unlock more functions by paying for them. It may be worth considering once you have grown your business.

Create a new product line

Since you already have a good following and some loyal customers, it would be a good time to explore other products. New items can keep your customers interested, and it is another opportunity to grow your business. It is a sign that you are constantly improving your business.

Usually, large companies do market research to find what new product they can make. You may not necessarily have these resources, but there are other ways to find out. Getting feedback from existing buyers is one thing. They may also be leaving reviews and suggestions in your posts and reviews. You can base your new item on that.